What to do:
Please duplicate all of the entries further below word for word.
Contents:
<<<
The following is a PBE calculation of an optimized crystal structure of Sr2AgBr, from Alexandria via LeMat-Bulk.

## Properties
The calculation puts the energy relative to the elements, uncorrected at -0.862 eV per atom. For the volume, the calculation gives 431.6 Å³/cell. As for the spin magnetization: 0.00 μB/f.u. The value obtained for the energy above the most stable polymorph in this dataset is 0.07 eV per formula unit. Its crystal system is trigonal.

Cell lengths 4.4371, 4.4371, 25.3123 Å; angles 90.00, 90.00, 120.00 degrees
Space group R3m (No. 160, hexagonal axes)
Symmetry-distinct sites (fractional):
1 Sr 0.0000 0.0000 0.0000 [3 per cell]
2 Sr 0.0000 0.0000 0.1856 [3 per cell]
3 Ag 0.0000 0.0000 0.5919 [3 per cell]
4 Br 0.0000 0.0000 0.7643 [3 per cell]



The following is a PBE calculation of an optimized crystal structure of Sr2AgBr, from Alexandria via LeMat-Bulk.

## Properties
The calculation puts the energy relative to the elements, uncorrected at -0.806 eV per atom. For the volume, the calculation gives 129.7 Å³/cell. As for the spin magnetization: 0.00 μB/f.u. The value obtained for the energy above the most stable polymorph in this dataset is 0.29 eV per formula unit. Its crystal system is tetragonal.

Cell lengths 3.9159, 3.9159, 8.4570 Å; angles 90.00, 90.00, 90.00 degrees
Space group P4/mmm (No. 123)
Symmetry-distinct sites (fractional):
1 Sr 0.0000 0.0000 0.2240 [2 per cell]
2 Ag 0.5000 0.5000 0.0000 [1 per cell]
3 Br 0.5000 0.5000 0.5000 [1 per cell]



The following is a PBE calculation of an optimized crystal structure of SrAgBr, from Alexandria via LeMat-Bulk.

## Properties
The calculation puts the energy relative to the elements, uncorrected at -0.852 eV per atom. For the volume, the calculation gives 424.6 Å³/cell. As for the spin magnetization: 0.00 μB/f.u. The value obtained for the energy above the most stable polymorph in this dataset is 0.06 eV per formula unit. Its crystal system is cubic.

Cell lengths 7.5160, 7.5160, 7.5160 Å; angles 90.00, 90.00, 90.00 degrees
Space group F-43m (No. 216)
Symmetry-distinct sites (fractional):
1 Sr 0.0000 0.0000 0.0000 [4 per cell]
2 Ag 0.2500 0.2500 0.2500 [4 per cell]
3 Br 0.2500 0.2500 0.7500 [4 per cell]



The following is a PBE calculation of an optimized crystal structure of Sr3Ag2Br8, from Alexandria via LeMat-Bulk.

## Properties
The calculation puts the energy relative to the elements, uncorrected at -1.553 eV per atom. For the volume, the calculation gives 950.8 Å³/cell. As for the spin magnetization: 0.00 μB/f.u. Its crystal system is monoclinic.

Cell lengths 14.2657, 9.0723, 7.9218 Å; angles 90.00, 111.96, 90.00 degrees
Space group C2/m (No. 12)
Symmetry-distinct sites (fractional):
1 Sr 0.0000 0.0000 0.0000 [2 per cell]
2 Sr 0.0000 0.2557 0.5000 [4 per cell]
3 Ag 0.1155 0.5000 0.0693 [4 per cell]
4 Br 0.1195 0.0000 0.7458 [4 per cell]
5 Br 0.1224 0.2490 0.2519 [8 per cell]
6 Br 0.1299 0.5000 0.7429 [4 per cell]



The following is a PBE calculation of an optimized crystal structure of Sr4AgBr, from Alexandria via LeMat-Bulk.

## Properties
The calculation puts the energy relative to the elements, uncorrected at 0.185 eV per atom. For the volume, the calculation gives 1201.4 Å³/cell. As for the spin magnetization: 0.02 μB/f.u. Its crystal system is cubic.

Cell lengths 10.6308, 10.6308, 10.6308 Å; angles 90.00, 90.00, 90.00 degrees
Space group F-43m (No. 216)
Symmetry-distinct sites (fractional):
1 Sr 0.1245 0.1245 0.1245 [16 per cell]
2 Ag 0.2500 0.2500 0.7500 [4 per cell]
3 Br 0.0000 0.0000 0.5000 [4 per cell]



The following is a PBE calculation of an optimized crystal structure of SrAgBr2, from Alexandria via LeMat-Bulk.

## Properties
>>>
Written answer:
The following is a PBE calculation of an optimized crystal structure of Sr2AgBr, from Alexandria via LeMat-Bulk.

## Properties
The calculation puts the energy relative to the elements, uncorrected at -0.862 eV per atom. For the volume, the calculation gives 431.6 Å³/cell. As for the spin magnetization: 0.00 μB/f.u. The value obtained for the energy above the most stable polymorph in this dataset is 0.07 eV per formula unit. Its crystal system is trigonal.

Cell lengths 4.4371, 4.4371, 25.3123 Å; angles 90.00, 90.00, 120.00 degrees
Space group R3m (No. 160, hexagonal axes)
Symmetry-distinct sites (fractional):
1 Sr 0.0000 0.0000 0.0000 [3 per cell]
2 Sr 0.0000 0.0000 0.1856 [3 per cell]
3 Ag 0.0000 0.0000 0.5919 [3 per cell]
4 Br 0.0000 0.0000 0.7643 [3 per cell]



The following is a PBE calculation of an optimized crystal structure of Sr2AgBr, from Alexandria via LeMat-Bulk.

## Properties
The calculation puts the energy relative to the elements, uncorrected at -0.806 eV per atom. For the volume, the calculation gives 129.7 Å³/cell. As for the spin magnetization: 0.00 μB/f.u. The value obtained for the energy above the most stable polymorph in this dataset is 0.29 eV per formula unit. Its crystal system is tetragonal.

Cell lengths 3.9159, 3.9159, 8.4570 Å; angles 90.00, 90.00, 90.00 degrees
Space group P4/mmm (No. 123)
Symmetry-distinct sites (fractional):
1 Sr 0.0000 0.0000 0.2240 [2 per cell]
2 Ag 0.5000 0.5000 0.0000 [1 per cell]
3 Br 0.5000 0.5000 0.5000 [1 per cell]



The following is a PBE calculation of an optimized crystal structure of SrAgBr, from Alexandria via LeMat-Bulk.

## Properties
The calculation puts the energy relative to the elements, uncorrected at -0.852 eV per atom. For the volume, the calculation gives 424.6 Å³/cell. As for the spin magnetization: 0.00 μB/f.u. The value obtained for the energy above the most stable polymorph in this dataset is 0.06 eV per formula unit. Its crystal system is cubic.

Cell lengths 7.5160, 7.5160, 7.5160 Å; angles 90.00, 90.00, 90.00 degrees
Space group F-43m (No. 216)
Symmetry-distinct sites (fractional):
1 Sr 0.0000 0.0000 0.0000 [4 per cell]
2 Ag 0.2500 0.2500 0.2500 [4 per cell]
3 Br 0.2500 0.2500 0.7500 [4 per cell]



The following is a PBE calculation of an optimized crystal structure of Sr3Ag2Br8, from Alexandria via LeMat-Bulk.

## Properties
The calculation puts the energy relative to the elements, uncorrected at -1.553 eV per atom. For the volume, the calculation gives 950.8 Å³/cell. As for the spin magnetization: 0.00 μB/f.u. Its crystal system is monoclinic.

Cell lengths 14.2657, 9.0723, 7.9218 Å; angles 90.00, 111.96, 90.00 degrees
Space group C2/m (No. 12)
Symmetry-distinct sites (fractional):
1 Sr 0.0000 0.0000 0.0000 [2 per cell]
2 Sr 0.0000 0.2557 0.5000 [4 per cell]
3 Ag 0.1155 0.5000 0.0693 [4 per cell]
4 Br 0.1195 0.0000 0.7458 [4 per cell]
5 Br 0.1224 0.2490 0.2519 [8 per cell]
6 Br 0.1299 0.5000 0.7429 [4 per cell]



The following is a PBE calculation of an optimized crystal structure of Sr4AgBr, from Alexandria via LeMat-Bulk.

## Properties
The calculation puts the energy relative to the elements, uncorrected at 0.185 eV per atom. For the volume, the calculation gives 1201.4 Å³/cell. As for the spin magnetization: 0.02 μB/f.u. Its crystal system is cubic.

Cell lengths 10.6308, 10.6308, 10.6308 Å; angles 90.00, 90.00, 90.00 degrees
Space group F-43m (No. 216)
Symmetry-distinct sites (fractional):
1 Sr 0.1245 0.1245 0.1245 [16 per cell]
2 Ag 0.2500 0.2500 0.7500 [4 per cell]
3 Br 0.0000 0.0000 0.5000 [4 per cell]



The following is a PBE calculation of an optimized crystal structure of SrAgBr2, from Alexandria via LeMat-Bulk.

## Properties